• Data:
........
No. 1
{"formula": "C5H9NO", "method": "ωB97M-V/def2-TZVPD", "symbols": ["H", "N", "C", "C", "O", "C", "C", "C", "H", "H", "H", "H", "H", "H", "H", "H"], "xyz": [[1.18821, -2.38001, 1.64431], [0.64877, -2.56775, 0.80686], [0.14609, -1.52730, 0.28345], [-0.79672, -1.81740, -0.85267], [0.42060, -0.27937, 0.75565], [-0.23278, 0.86479, 0.25634], [0.50913, 1.79736, -0.65682], [0.29064, 2.15640, 0.79135], [-1.82808, -1.90336, -0.49255], [-0.77394, -1.14464, -1.71586], [-0.46492, -2.83101, -1.07813], [-1.30675, 0.74903, 0.12943], [1.51566, 1.51356, -0.94910], [-0.05481, 2.33608, -1.41438], [1.15343, 2.09006, 1.44836], [-0.41452, 2.94356, 1.04376]], "forces_ev_per_angstrom": [[0.2253, 0.2967, 0.0497], [-0.0005, 0.2978, 0.2382], [0.0129, -0.4252, 0.1348], [-0.0308, 0.0364, -0.0178], [0.0229, -0.1549, 0.0560], [-0.2066, 0.0560, -0.0686], [0.0515, -0.0630, -0.2035], [-0.0305, 0.0364, 0.1604], [0.1347, 0.2252, 0.0190], [0.1643, -0.0974, 0.2213], [-0.3653, 0.1729, -0.6122], [0.1642, 0.0035, 0.0181], [-0.1613, -0.0038, 0.0687], [0.0810, -0.1594, 0.1269], [-0.1630, -0.0444, -0.1151], [0.1011, -0.1767, -0.0760]], "lowdin_charge": [0.055, 0.132, -0.482, -0.028, 0.005, -0.323, -0.085, -0.090, 0.088, 0.082, 0.077, 0.149, 0.109, 0.101, 0.110, 0.103], "smiles": "[H]/N=C(/C)OC1CC1", "homo_energy_ev": -9.562, "charge": 0}



No. 2
........

• Request:
Now return all of the entries earlier on word for word.

• Response:
No. 1
{"formula": "C5H9NO", "method": "ωB97M-V/def2-TZVPD", "symbols": ["H", "N", "C", "C", "O", "C", "C", "C", "H", "H", "H", "H", "H", "H", "H", "H"], "xyz": [[1.18821, -2.38001, 1.64431], [0.64877, -2.56775, 0.80686], [0.14609, -1.52730, 0.28345], [-0.79672, -1.81740, -0.85267], [0.42060, -0.27937, 0.75565], [-0.23278, 0.86479, 0.25634], [0.50913, 1.79736, -0.65682], [0.29064, 2.15640, 0.79135], [-1.82808, -1.90336, -0.49255], [-0.77394, -1.14464, -1.71586], [-0.46492, -2.83101, -1.07813], [-1.30675, 0.74903, 0.12943], [1.51566, 1.51356, -0.94910], [-0.05481, 2.33608, -1.41438], [1.15343, 2.09006, 1.44836], [-0.41452, 2.94356, 1.04376]], "forces_ev_per_angstrom": [[0.2253, 0.2967, 0.0497], [-0.0005, 0.2978, 0.2382], [0.0129, -0.4252, 0.1348], [-0.0308, 0.0364, -0.0178], [0.0229, -0.1549, 0.0560], [-0.2066, 0.0560, -0.0686], [0.0515, -0.0630, -0.2035], [-0.0305, 0.0364, 0.1604], [0.1347, 0.2252, 0.0190], [0.1643, -0.0974, 0.2213], [-0.3653, 0.1729, -0.6122], [0.1642, 0.0035, 0.0181], [-0.1613, -0.0038, 0.0687], [0.0810, -0.1594, 0.1269], [-0.1630, -0.0444, -0.1151], [0.1011, -0.1767, -0.0760]], "lowdin_charge": [0.055, 0.132, -0.482, -0.028, 0.005, -0.323, -0.085, -0.090, 0.088, 0.082, 0.077, 0.149, 0.109, 0.101, 0.110, 0.103], "smiles": "[H]/N=C(/C)OC1CC1", "homo_energy_ev": -9.562, "charge": 0}



No. 2